Given.
<<<
The following is a theoretical XRD peak list of CrCl2O2. It was derived from a crystal structure in the Materials Project, relaxed with GGA+U, using Cu Ka.

Most intense lines, 2θ = 10–90°, sorted by position:
| h k l | 2θ (°) | Rel. int. |
| --- | --- | --- |
| 1 0 -1 | 15.14 | 37 |
| 1 0 1 | 20.12 | 36 |
| 0 1 1 | 20.29 | 64 |
| 1 1 0 | 21.08 | 100 |
| 1 1 -1 | 22.38 | 22 |
| 2 0 -1 | 25.94 | 15 |
| 2 0 0 | 26.56 | 14 |
| 0 1 2 | 29.14 | 29 |
| 1 0 2 | 30.54 | 29 |
| 0 2 0 | 33.10 | 21 |

Structural model:
Cell lengths 6.984, 5.413, 7.737 Å; angles 90.00, 106.03, 90.00 degrees
Space group P2_1 (No. 4)
One atom of each set of equivalent atoms:
1 Cr 0.164 0.000 0.275 x2
2 Cl 0.277 0.112 0.548 x2
3 Cl 0.345 0.121 0.112 x2
4 O 0.054 0.611 0.801 x2
5 O 0.153 0.707 0.268 x2



The following is a theoretical XRD peak list of Ti5Fe7O18. It was derived from a crystal structure in the Materials Project, relaxed with GGA+U, using Cu Ka.

Most intense lines, 2θ = 10–90°, sorted by position:
| h k l | 2θ (°) | Rel. int. |
| --- | --- | --- |
| 1 0 1 | 23.50 | 30 |
| 1 -2 2 | 32.22 | 93 |
| 2 0 -1 | 32.37 | 45 |
| 1 2 -3 | 34.72 | 100 |
| 2 1 0 | 39.82 | 19 |
| 1 -4 0 | 52.39 | 25 |
| 2 -2 3 | 52.57 | 25 |
| 3 0 -3 | 52.71 | 24 |
| 1 -2 5 | 60.72 | 21 |
| 2 4 -3 | 62.19 | 31 |

Structural model:
Cell lengths 5.563, 7.631, 8.939 Å; angles 113.14, 105.33, 96.06 degrees
Space group P1 (No. 1)
One atom of each set of equivalent atoms:
1 Ti 0.000 0.000 0.000 x1
2 Ti 0.078 0.960 0.333 x1
3 Ti 0.337 0.336 0.670 x1
4 Ti 0.662 0.662 0.327 x1
5 Ti 0.756 0.622 0.667 x1
6 Fe 0.084 0.457 0.332 x1
7 Fe 0.339 0.838 0.670 x1
8 Fe 0.412 0.293 0.997 x1
9 Fe 0.417 0.793 0.999 x1
10 Fe 0.665 0.170 0.329 x1
11 Fe 0.748 0.120 0.663 x1
12 Fe 0.993 0.496 0.999 x1
13 O 0.095 0.259 0.450 x1
14 O 0.098 0.273 0.091 x1
15 O 0.127 0.302 0.793 x1
16 O 0.283 0.992 0.204 x1
17 O 0.302 0.000 0.894 x1
18 O 0.320 0.019 0.555 x1
19 O 0.415 0.601 0.116 x1
20 O 0.434 0.613 0.751 x1
21 O 0.463 0.644 0.469 x1
22 O 0.629 0.324 0.861 x1
23 O 0.648 0.350 0.573 x1
24 O 0.666 0.372 0.229 x1
25 O 0.741 0.925 0.781 x1
26 O 0.764 0.944 0.423 x1
27 O 0.791 0.967 0.127 x1
28 O 0.974 0.686 0.244 x1
29 O 0.976 0.668 0.547 x1
30 O 0.993 0.696 0.885 x1



The following is a theoretical XRD peak list of Ca9Y3Co4O24. It was derived from a crystal structure in the Materials Project, relaxed with GGA+U, using Cu Ka.

Most intense lines, 2θ = 10–90°, sorted by position:
| h k l | 2θ (°) | Rel. int. |
| --- | --- | --- |
| 0 1 2 | 19.52 | 100 |
| 1 0 2 | 19.61 | 51 |
| 0 2 2 | 31.09 | 19 |
| 0 1 4 | 31.23 | 73 |
| -2 1 2 | 34.84 | 42 |
| 1 -2 2 | 35.02 | 36 |
| 1 1 -4 | 35.16 | 36 |
| 3 0 2 | 44.85 | 23 |
| -1 1 6 | 47.59 | 54 |
| 1 -1 6 | 47.88 | 19 |

Structural model:
Cell lengths 6.359, 6.366, 12.655 Å; angles 88.26, 88.88, 88.98 degrees
Space group P1 (No. 1)
One atom of each set of equivalent atoms:
1 Ca 0.000 0.000 0.000 x1
2 Ca 0.001 0.002 0.499 x1
3 Ca 0.359 0.292 0.676 x1
4 Ca 0.360 0.291 0.178 x1
5 Ca 0.503 0.147 0.427 x1
6 Ca 0.713 0.644 0.323 x1
7 Ca 0.714 0.647 0.823 x1
8 Ca 0.852 0.505 0.571 x1
9 Ca 0.856 0.503 0.072 x1
10 Y 0.212 0.791 0.250 x1
11 Y 0.215 0.791 0.750 x1
12 Y 0.501 0.149 0.927 x1
13 Co 0.103 0.393 0.874 x1
14 Co 0.105 0.395 0.374 x1
15 Co 0.609 0.899 0.126 x1
16 Co 0.610 0.900 0.626 x1
17 O 0.041 0.682 0.406 x1
18 O 0.042 0.678 0.907 x1
19 O 0.044 0.464 0.235 x1
20 O 0.045 0.460 0.735 x1
21 O 0.178 0.109 0.336 x1
22 O 0.179 0.104 0.840 x1
23 O 0.179 0.337 0.509 x1
24 O 0.184 0.330 0.008 x1
25 O 0.325 0.966 0.089 x1
26 O 0.325 0.966 0.593 x1
27 O 0.384 0.479 0.340 x1
28 O 0.388 0.464 0.841 x1
29 O 0.527 0.621 0.158 x1
30 O 0.528 0.626 0.660 x1
31 O 0.539 0.961 0.264 x1
32 O 0.539 0.965 0.771 x1
33 O 0.667 0.834 0.987 x1
34 O 0.671 0.824 0.488 x1
35 O 0.673 0.180 0.089 x1
36 O 0.679 0.173 0.595 x1
37 O 0.822 0.323 0.906 x1
38 O 0.828 0.324 0.408 x1
39 O 0.894 0.827 0.663 x1
40 O 0.894 0.829 0.163 x1
>>>

What to do.
What is needed: count the lines earlier on that contain the word "position" and give the number alone.

Solution.
3